AMD-00140: internal error: [string] [string] [string] [string] [string]
Cause: This is an internal error
Action: Contact Oracle Support Services
AMD-00140: internal error: [string] [string] [string] [string] [string]
Cause: This is an internal error
Action: Contact Oracle Support Services
AMD-00139: level names parameter not valid
Cause: The number of names in the LEVELS_LIST parameter did not equal the number specified by the LEVELS parameter
Action: Ensure that the LEVELS_LIST parameter is correctly formed and that it holds the number of names specified by the LEVELS parameter
AMD-00138: level names parameter not null or defaulted
Cause: Level names were provided to the LEVELS_LIST parameter, but the LEVELS parameter did not specify the number of levels
Action: Either set the LEVELS_LIST parameter to null (the default) or set the LEVELS parameter to the number of levels
AMD-00137: prefix "string" exceeds maximum permitted length of string characters
Cause: A prefix supplied to an API call was too long
Action: Change the prefix so that it is within the permitted length, then re-issue the API call
AMD-00136: Generation of SQL script "string" failed
Cause: There was a program error or a system resource limit was exceeded
Action: Verify that sufficient system resources are available, then retry
AMD-00135: measure #string: RDBMS measure column data type not specified
Cause: RDBMS measure column data type for this measure was not specified in either the input text file or the input string
Action: Modify the input text file or the input string to include the missing RDBMS measure column data type
AMD-00134: measure #string: RDBMS measure column name not specified
Cause: RDBMS measure column name for this measure was not specified in either the input text file or the input string
Action: Modify the input text file or the input string to include the missing RDBMS measure column name
AMD-00133: measure #string: analytic workspace measure name not specified
Cause: Analytic workspace measure name for this measure was not specified in either the input text file or the input string
Action: Modify the input text file or the input string to include the missing analytic workspace measure name
# Here the page breaks off for records of molecules
+++
# 1
100
Properties=species:S:1:pos:R:3:forces:R:3 method="wB97M-V/def2-TZVPD" orbital_gap_ev="6.7 / 6.6" de_lowest_kcal_mol=6.9 charge=0 lumo_ha="-0.01001 / -0.01096" largest_force_ev_per_a=1.96
W -0.795674 0.616937 0.133369 -0.5 -0.9 1.7
C 2.949248 5.799597 -3.784956 0.0 0.0 0.0
C 2.430340 5.177252 -2.517797 0.0 0.0 0.0
C 1.080358 5.245632 -2.186141 0.0 0.0 0.0
C 0.605452 4.675590 -1.015196 0.0 0.1 0.0
C 1.482054 4.025958 -0.162983 0.1 0.0 0.0
C 2.832861 3.959670 -0.468173 0.0 0.0 0.0
C 3.296990 4.530841 -1.640961 0.0 0.0 0.0
S 0.906775 3.289375 1.348915 0.0 0.0 -0.1
O 0.689225 4.366006 2.281822 -0.1 0.0 0.0
O 1.893451 2.296065 1.686832 0.0 0.0 0.0
N -0.503825 2.608349 0.966933 0.2 0.0 0.1
C -1.638557 3.244866 1.639004 0.0 -0.1 0.0
C -2.849307 2.365069 1.495837 0.1 0.1 -0.1
O -3.955984 2.673023 1.867727 0.0 0.0 0.1
O -2.584774 1.210898 0.913628 0.0 0.2 -0.4
H 2.140123 6.004549 -4.485406 0.0 0.0 0.0
H 3.670802 5.146267 -4.277050 0.0 0.0 0.0
H 3.454505 6.744407 -3.573806 0.0 0.0 0.0
H 0.390757 5.744596 -2.857775 0.0 0.0 0.0
H -0.448478 4.721195 -0.772357 0.0 0.0 0.0
H 3.502754 3.436361 0.201198 0.0 0.0 0.0
H 4.350305 4.461293 -1.888414 0.0 0.0 0.0
H -1.878122 4.241853 1.253760 0.0 0.0 0.0
H -1.455683 3.364265 2.707892 0.0 0.0 0.0
C 1.166961 -5.184868 1.107076 0.0 0.0 0.0
C 2.365188 -4.553368 0.800434 0.0 0.0 0.0
C 2.429800 -3.171013 0.753628 0.0 0.0 0.0
C 1.292655 -2.405203 0.990315 -0.1 0.0 0.0
C 0.102888 -3.041796 1.323033 0.0 0.0 -0.1
C 0.036607 -4.427492 1.377020 0.0 0.0 0.0
P 1.343373 -0.579710 0.966017 -0.2 0.2 -0.4
C 2.622089 -0.369414 2.253541 0.0 0.1 -0.1
C 3.800783 0.327376 2.011934 0.0 0.0 0.0
C 4.793147 0.375527 2.978784 0.0 0.0 0.0
C 4.613814 -0.262529 4.197363 0.0 0.0 0.0
C 3.440668 -0.960947 4.442203 0.0 0.0 0.0
C 2.454936 -1.023630 3.469978 0.0 0.0 0.0
C 1.983918 0.074586 -0.594425 0.1 0.0 0.0
C 3.166142 -0.128540 -1.292775 0.0 0.0 0.0
C 3.378508 0.584089 -2.464221 0.0 0.0 0.0
C 2.419014 1.480091 -2.919702 -0.1 0.0 0.0
C 1.228164 1.657244 -2.228380 0.0 -0.1 -0.1
C 0.986597 0.952281 -1.052072 0.1 0.1 -0.1
H 1.118119 -6.265973 1.141979 0.0 0.0 0.0
H 3.251226 -5.140829 0.596728 0.0 0.0 0.0
H 3.372198 -2.686564 0.526983 0.0 0.0 0.0
H -0.774067 -2.444793 1.541499 0.0 0.0 0.0
H -0.898002 -4.915649 1.629128 0.0 0.0 0.0
H 3.932731 0.855557 1.078488 0.0 0.0 0.0
H 5.705600 0.923942 2.781952 0.0 0.0 0.0
H 5.386508 -0.215493 4.954144 0.0 0.0 0.0
H 3.293227 -1.462876 5.390140 0.0 0.0 0.0
H 1.548148 -1.582711 3.654850 0.0 0.0 0.0
H 3.917348 -0.821686 -0.933541 0.0 0.0 0.0
H 4.295645 0.442949 -3.022393 0.0 0.0 0.0
H 2.599153 2.040504 -3.829486 0.0 0.0 0.0
H 0.496451 2.355985 -2.615416 0.0 0.0 0.0
O 0.111488 -1.373932 -3.636218 0.0 0.0 0.0
S 0.027910 -2.187067 -2.454898 0.0 -0.1 0.2
O 1.188521 -2.920006 -2.059106 0.0 0.0 0.0
N -0.608183 -1.320863 -1.189913 -0.2 0.2 -0.3
C -1.805992 -1.769576 -0.833203 0.1 -0.2 0.0
O -2.383003 -1.164781 0.090858 0.2 0.3 0.0
C -2.306853 -2.921446 -1.614921 0.0 0.0 0.0
C -3.508459 -3.599187 -1.511983 0.0 0.0 0.0
+++
# The page goes on
AMD-00132: dimension #string: RDBMS GID column data type not specified
Cause: RDBMS dimension column data type for this dimension was not specified in either the input text file or the input string
Action: Modify the input text file or the input string to include the missing RDBMS dimension column data type
AMD-00131: dimension #string: RDBMS parent column data type not specified
Cause: RDBMS dimension column data type for this dimension was not specified in either the input text file or the input string
Action: Modify the input text file or the input string to include the missing RDBMS dimension column data type